36-5-503. Termination of income assignment.
(a) The following procedures shall apply to termination of income assignment:
(1) Any party or its agents or assignees may seek termination of an order under this section if there are no arrearages owed by the obligor to the obligee parent, any guardian or custodian of the child, the department of human services or any other agency of the state of Tennessee, or any other Title IV-D agency of any state, the costs of court have been paid, and there are no longer any children to whom the obligor parent is obligated to pay support because:
-- begin --
The following is a simulated X-ray powder pattern of CsCoPO4. It was derived from the GGA+U geometry in the Materials Project, using Cu Kα, 1.54184 Å.
Peak positions follow from Bragg's law for the DFT cell and can differ from measured ones.

```
data_CsCoPO4
_chemical_formula_sum 'Cs4 Co4 P4 O16'
_cell_length_a 9.347
_cell_length_b 9.638
_cell_length_c 5.519
_cell_angle_alpha 90.00
_cell_angle_beta 90.00
_cell_angle_gamma 90.00
_symmetry_space_group_name_H-M 'P n a 21'
_symmetry_Int_Tables_number 33
loop_
_symmetry_equiv_pos_as_xyz
'x,y,z'
'-x,-y,z+1/2'
'-x+1/2,y+1/2,z+1/2'
'x+1/2,-y+1/2,z'
loop_
_atom_site_label
_atom_site_type_symbol
_atom_site_fract_x
_atom_site_fract_y
_atom_site_fract_z
_atom_site_occupancy
Cs1 Cs 0.003 0.200 0.000 1
Co1 Co 0.174 0.582 0.994 1
P1 P 0.198 0.411 0.495 1
O1 O 0.034 0.397 0.496 1
O2 O 0.233 0.773 0.915 1
O3 O 0.247 0.526 0.313 1
O4 O 0.247 0.951 0.252 1
```

Principal peaks in the range 2θ = 10–90°, by angle:
hkl  d/Å  Position (°2θ)  I/Imax
1 2 1  3.384  26.34  46
2 1 1  3.348  26.63  100
1 3 0  3.038  29.40  11
3 1 0  2.965  30.14  11
0 3 1  2.777  32.24  25
0 0 2  2.760  32.45  21
4 1 1  2.101  43.06  13
1 5 0  1.888  48.20  9
3 4 1  1.802  50.67  17
1 5 2  1.558  59.31  11

=====

Diffraction record for Li4H3ClO3. The powder XRD pattern is theoretical, not measured: it uses a cell relaxed with GGA-PBE and a wavelength of 1.5418 Å.

Structural model:
```
data_Li4H3ClO3
_symmetry_space_group_name_H-M 'P 1 21/m 1'
_symmetry_Int_Tables_number 11
_symmetry_space_group_name_Hall '-P 2yb'
_cell_length_a 5.4391
_cell_length_b 7.4559
_cell_length_c 6.2875
_cell_angle_alpha 90.00
_cell_angle_beta 94.71
_cell_angle_gamma 90.00
loop_
_atom_site_label
_atom_site_type_symbol
_atom_site_fract_x
_atom_site_fract_y
_atom_site_fract_z
Li1 Li 0.0693 0.2500 0.4187
Li2 Li 0.3539 0.5152 0.6446
Li3 Li 0.3871 0.2500 0.1669
H1 H 0.1728 0.7500 0.8855
H2 H 0.1813 0.5388 0.2651
Cl1 Cl 0.1725 0.2500 0.8158
O1 O 0.2532 0.7500 0.7524
O2 O 0.2843 0.0499 0.3435
```

The 6 most intense peaks (15 to 90 degrees two-theta), by angle:
d = 4.384 Å, 20.25°, rel. 45, hkl 1 1 0; d = 3.710 Å, 23.99°, rel. 24, hkl 1 1 -1; d = 3.204 Å, 27.85°, rel. 33, hkl 0 2 1; d = 3.133 Å, 28.49°, rel. 43, hkl 0 0 2; d = 2.811 Å, 31.83°, rel. 100, hkl 1 2 -1; d = 2.710 Å, 33.06°, rel. 85, hkl 2 0 0

---

Diffraction record for LiTc2HCl. The powder XRD pattern is theoretical, not measured: it uses a cell relaxed with GGA-PBE and a wavelength of 1.5418 Å.

Structural model:
```
data_LiTc2HCl
_symmetry_space_group_name_H-M 'P 4/m m m'
_symmetry_Int_Tables_number 123
_symmetry_space_group_name_Hall '-P 4 2'
_cell_length_a 4.6505
_cell_length_b 4.6505
_cell_length_c 2.9235
_cell_angle_alpha 90.00
_cell_angle_beta 90.00
_cell_angle_gamma 90.00
loop_
_atom_site_label
_atom_site_type_symbol
_atom_site_fract_x
_atom_site_fract_y
_atom_site_fract_z
Li1 Li 0.0000 0.0000 0.0000
Tc1 Tc 0.0000 0.5000 0.5000
H1 H 0.5000 0.5000 0.0000
Cl1 Cl 0.5000 0.5000 0.5000
```
-- stop --
(A) Of the marriage of the child or children;
(B) Of the death of the child or children;
(C) The child or children have reached majority and have graduated from high school, or the class of which the child is a member when the child attains eighteen (18) years of age graduates, whichever occurs later, and no other special circumstances requiring the obligation continue to exist.
(2) If there are children to whom the obligor is still obligated to pay support, though a change of circumstances has occurred as a result of the discontinuation of the obligation to at least one (1) child, the obligor may not seek termination of the income assignment order, but must seek modification of the support order. Upon obtaining modification of the support order, the clerk of court or the department or its contractors shall issue a modified income assignment;
(3) Parties seeking a change of custody, pursuant to § 36-6-101, may not seek termination under this provision but must request termination by the trial court if there is a change in custody ordered;
(4) The clerk of the court or the department of human services or its contractor in Title IV-D cases shall send the order and notice of termination of income assignment to the obligor parent, obligee parent, and employer, person, corporation, or institution upon the decision to terminate or not to terminate; and
**The piece is interrupted by records of crystals**
(1)
Diffraction record for Sc3AlNi8. The PXRD pattern is theoretical, not measured: it uses a GGA-PBE-relaxed structure and copper Kα.

Structural model:
```
data_Sc3AlNi8
_cell_length_a 4.8360
_cell_length_b 4.8360
_cell_length_c 23.7711
_cell_angle_alpha 90.00
_cell_angle_beta 90.00
_cell_angle_gamma 120.00
_symmetry_space_group_name_H-M 'R 3 m'
_symmetry_Int_Tables_number 160
_symmetry_space_group_name_Hall 'R 3 -2"'
loop_
_atom_site_label
_atom_site_type_symbol
_atom_site_fract_x
_atom_site_fract_y
_atom_site_fract_z
_atom_site_occupancy
Sc1 Sc 0.0000 0.0000 0.0000 1
Sc2 Sc 0.0000 0.0000 0.1275 1
Sc3 Sc 0.0000 0.0000 0.6189 1
Al1 Al 0.0000 0.0000 0.4959 1
Ni1 Ni 0.0000 0.0000 0.3119 1
Ni2 Ni 0.0000 0.0000 0.8119 1
Ni3 Ni 0.0008 0.5004 0.5609 1
Ni4 Ni 0.0016 0.5008 0.0623 1
```

Top 8 peaks for 10 to 80 degrees two-theta, low angle first:
- 22.5 deg, intensity 41
- 37.1 deg, intensity 20
- 43.8 deg, intensity 100
- 43.9 deg, intensity 34
- 45.8 deg, intensity 19
- 46.0 deg, intensity 57
- 53.5 deg, intensity 17
- 71.6 deg, intensity 20



(2)
Diffraction record for CaTlSnHIr. The PXRD pattern is theoretical, not measured: it uses a GGA-PBE-relaxed structure and copper Kα.

Structural model:
```
data_CaTlSnHIr
_cell_length_a 7.9328
_cell_length_b 4.6007
_cell_length_c 6.2846
_cell_angle_alpha 90.00
_cell_angle_beta 115.13
_cell_angle_gamma 90.00
_symmetry_space_group_name_H-M 'C 1 m 1'
_symmetry_Int_Tables_number 8
loop_
_symmetry_equiv_pos_as_xyz
'x,y,z'
'x,-y,z'
'x+1/2,y+1/2,z'
'x+1/2,-y+1/2,z'
loop_
_atom_site_label
_atom_site_type_symbol
_atom_site_fract_x
_atom_site_fract_y
_atom_site_fract_z
_atom_site_occupancy
Ca1 Ca 0.0000 0.0000 0.0000 1
Tl1 Tl 0.2176 0.0000 0.6519 1
Sn1 Sn 0.4514 0.0000 0.3520 1
H1 H 0.1795 0.5000 0.0327 1
Ir1 Ir 0.2747 0.5000 0.3202 1
```

Top 8 peaks for 10 to 80 degrees two-theta, low angle first:
- 15.6 deg, intensity 61
- 24.7 deg, intensity 36
- 30.7 deg, intensity 100
- 34.6 deg, intensity 35
- 39.2 deg, intensity 32
- 39.3 deg, intensity 64
- 43.5 deg, intensity 22
- 63.6 deg, intensity 30



(3)
Diffraction record for Li3B8C8. The PXRD pattern is theoretical, not measured: it uses a GGA-PBE-relaxed structure and copper Kα.

Structural model:
```
data_Li3B8C8
_cell_length_a 4.6939
_cell_length_b 5.3654
_cell_length_c 7.7933
_cell_angle_alpha 70.34
_cell_angle_beta 89.56
_cell_angle_gamma 89.11
_symmetry_space_group_name_H-M 'P 1'
_symmetry_Int_Tables_number 1
loop_
_symmetry_equiv_pos_as_xyz
'x,y,z'
loop_
_atom_site_label
_atom_site_type_symbol
_atom_site_fract_x
_atom_site_fract_y
_atom_site_fract_z
_atom_site_occupancy
Li1 Li 0.0000 0.0000 0.0000 1
**End of the records of crystals**
(5) (A) In Title IV-D cases, when the department of human services or its contractor is informed or otherwise determines that the conditions of § 36-5-503(a)(1) have been met, then the department or its contractor shall administratively terminate or modify the income assignment order to reflect the change in circumstances pursuant to the child support guidelines in accordance with this section. In all other circumstances, modification or termination of an income assignment shall be obtained by court order.
(B) In cases where an income assignment order may be terminated or modified by administrative order, the department or its contractor shall notify both the obligor, or other payer, and the obligee of the proposed action with respect to the termination or modification action. The notice shall give both the obligor and the obligee fifteen (15) days in which to appeal the proposed action, pursuant to the appeal provisions of chapter 5, part 10 of this title.
(b) Each parent or other individual having custody of a child who is receiving support payments under an income assignment order shall notify the clerk, or the department of human services or its contractor in Title IV-D cases, at such time as any of the following occur:
(1) A child for whom support is being paid dies;
(2) A child for whom support is being paid marries;
(3) A child for whom support is being paid reaches such child's eighteenth birthday if the child is not in high school on that date; or
(4) A child for whom support is being paid graduates from high school, or the class of which the child is a member graduates if the child does not graduate with the class, if the child is eighteen (18) years of age prior to the date such child graduates.
(c) (1) The obligor parent may also seek termination or modification of a support order when the whereabouts of the obligee parent and child or children are unknown and the clerk of the court, or the department of human services or its contractor in Title IV-D cases, has been unable to forward past payments, and all arrearages owed to the state as a result of the custodian's receipt of public assistance have been paid.
(2) The obligor parent may either file a motion for termination or seek modification of the child support order when support payments equal to the amount due within one (1) month have been returned to the office of the clerk, or to the department or its contractor in Title IV-D cases, and all reasonable means to locate the obligee parent and child or children have been exhausted. The clerk of the court, or the department or its contractor in Title IV-D cases, shall notify the obligor parent that such payments have been returned to the clerk, or to the department or its contractor in Title IV-D cases. The obligor parent must submit an affidavit verifying that such obligor parent has exhausted reasonable efforts to locate the obligee parent and child or children.
(d) When a motion to terminate is filed, the clerk of the court shall proceed to set a hearing and serve the parties as provided in § 36-5-405. Upon receipt of a notice from the custodial parent or individual in accordance with subsection (b), or based upon the department's own records, the clerk or the department or its contractor in Title IV-D cases shall determine whether the income assignment order includes support for any other child or children and whether there are any accumulated arrearages due that have not been satisfied. If there are no other children and no arrearages, the clerk, or the department or its contractor in Title IV-D cases, after notification to the parties, shall notify the employer, person, corporation or institution withholding support that the income assignment is terminated. If there are other children and/or accumulated arrearages, the clerk or the department or its contractor in Title IV-D cases, after notification to the parties, shall send a new notice to the employer, person, corporation or institution withholding support specifying the correct amount to be withheld as a result of the change in circumstances.
(e) If the obligor parent wishes to file a motion for termination or to seek modification of the support order, such obligor parent must complete and file an affidavit affirming that such obligor parent has contacted a reasonable number of relatives and friends of the obligee parent and all lack any knowledge regarding the whereabouts of the obligee parent and child or children, and that such obligor parent has made other reasonable efforts to locate the obligee parent and child or children including:
(1) Mailing a letter to the obligee parent's last known address requesting a new mailing address;
(2) Checking the telephone directory and directory assistance for a listing of the obligee parent;
# These crystal structures were left in the text by mistake
____________
Structure and theoretical powder XRD pattern of Ac3In3Pd (a DFT-relaxed cell (PBE, Alexandria); λ = 1.5418 Å (Cu Kα)).
Kinematic intensities with the Lorentz-polarization factor, no thermal factor.

Crystal structure
a b c (Å): 6.7709 6.7709 17.2092
angles (deg): 103.62 103.62 35.97
Positions (direct):
Ac1 0.0133 0.0133 0.3876
Ac2 0.1275 0.1275 0.9228
Ac3 0.2316 0.2316 0.2440
Ac4 0.7684 0.7684 0.7560
Ac5 0.8725 0.8725 0.0772
Ac6 0.9867 0.9867 0.6124
In1 0.3180 0.3180 0.4590
In2 0.3994 0.3994 0.9216
In3 0.4945 0.4945 0.7727
In4 0.5055 0.5055 0.2273
In5 0.6006 0.6006 0.0784
In6 0.6820 0.6820 0.5410
Pd1 0.3110 0.3110 0.6314
Pd2 0.6890 0.6890 0.3686

Principal peaks in the range 2θ from 10° to 80°, sorted by position:
2θ = 22.53°, rel. 10.9; 2θ = 27.76°, rel. 12.4; 2θ = 27.94°, rel. 10.8; 2θ = 28.67°, rel. 38.7; 2θ = 29.84°, rel. 100.0; 2θ = 32.21°, rel. 20.2; 2θ = 34.00°, rel. 45.0; 2θ = 34.15°, rel. 17.4; 2θ = 43.27°, rel. 23.7; 2θ = 44.44°, rel. 23.2; 2θ = 45.23°, rel. 10.5; 2θ = 54.63°, rel. 11.5


# 1
Calculated PXRD pattern
Compound: PdRhPb5
Radiation: Cu Kα, 1.54184 Å
Structure: a DFT-relaxed cell (PBE, Alexandria)
Intensities are scaled so that the largest is 100.

Largest 10 diffraction maxima, sorted by position, 2θ from 10° to 80°:
2theta	intensity
26.45	24
26.76	31
28.82	63
30.72	100
31.00	64
31.41	48
33.05	46
34.06	50
35.01	33
54.10	24

Structural model:
```
14
Lattice="5.841 -3.370 0.000 5.841 3.370 0.000 -4.323 0.000 9.614" Properties=species:S:1:pos:R:3 pbc="T T T"
Pd 2.599 3.051 7.210
Pd 4.760 -3.051 2.403
Rh 5.841 0.000 0.000
Rh 3.679 0.000 4.807
Pb 0.160 2.421 9.469
Pb 1.593 1.062 3.366
Pb 5.037 2.421 4.951
Pb -0.569 -1.062 8.173
Pb 2.599 0.218 7.210
Pb 4.760 -0.218 2.403
Pb 7.928 1.062 1.441
Pb 2.322 -2.421 4.663
Pb 5.766 -1.062 6.248
Pb 7.199 -2.421 0.144
```

---

# 2
Calculated PXRD pattern
Compound: PaB2Ir
Radiation: Cu Kα, 1.54184 Å
Structure: a DFT-relaxed cell (PBE, Alexandria)
Intensities are scaled so that the largest is 100.

Largest 10 diffraction maxima, sorted by position, 2θ from 10° to 80°:
2theta	intensity
25.57	87
31.72	77
36.92	69
38.89	100
40.06	34
41.57	49
48.74	28
55.01	28
59.33	27
75.33	31

Structural model:
```
16
Lattice="5.903 0.000 0.000 0.000 3.737 0.000 0.000 0.000 9.630" Properties=species:S:1:pos:R:3 pbc="T T T"
Pa 0.777 0.934 1.260
Pa 2.174 2.802 6.076
Pa 3.729 0.934 3.555
Pa 5.125 2.802 8.370
B 0.137 0.934 6.501
B 1.268 0.934 7.933
B 1.684 2.802 3.118
B 2.815 2.802 1.686
____________
(3) Contacting the obligee parent's last attorney of record and inquiring as to whether the attorney can provide a current address;
(4) Contacting the obligee parent's last known place of employment (if known) and inquiring as to whether a current address may be provided by the employer; and
(5) Contacting the department of human services and inquiring if its records contain a current address of the obligee parent.
[Acts 1985, ch. 477, § 14; 1994, ch. 987, § 14; 2000, ch. 922, §§ 17-21; 2004, ch. 906, §§ 2, 3.]